
Showing posts with the label grooming

Learn How to Apply Color to Fur or Hair using Ornatrix/3ds Max/Redshift

  Are you interested in learning how to apply color to fur or hair using Ornatrix/3ds Max/Redshift? If so, then this video is for you! In this tutorial, we'll walk you through the basics of using Redshift Principled Hair to add color to fur or hair, and 3ds Max and Redshift to create the final render. In this tutorial, you'll learn how to use Redshift Principled Hair Mtl to add color to Ornatrix fur or hair, and 3ds Max and Redshift to create a final render. After watching this video, you'll be able to apply color to fur or hair using Ornatrix/3ds Max/Redshift effectively! ___ Just a reminder that you can become a channel sponsor and get a 95% discount - on all my assets, voiceovers in another language, etc. It's enough to do it here Also, if this is your first time on this channel, I recommend watching its trailer ___ WHO AM I? Hi, my name is Andrew Krivulya Charly and I am a 3d-artist who began my journey as a 3d-groom artist in 2016 New works can be viewed here Befor...

Learn How to Apply Color to Fur or Hair using Ornatrix/3ds Max/Vray

  Are you interested in learning how to apply color to fur or hair using Ornatrix/3ds Max/Vray? If so, then this video is for you! In this tutorial, we'll walk you through the basics of using V-Ray Hair Mtl to add color to fur or hair, and 3ds Max and Vray to create the final render. In this tutorial, you'll learn how to use V-RayHairNextMtl to add color to Ornatrix fur or hair, and 3ds Max and Vray to create a final render. After watching this video, you'll be able to apply color to fur or hair using Ornatrix/3ds Max/Vray effectively! ___ Just a reminder that you can become a channel sponsor and get a 95% discount - on all my assets, voiceovers in another language, etc. It's enough to do it here Also, if this is your first time on this channel, I recommend watching its ___ WHO AM I? Hi, my name is Andrew Krivulya Charly and I am a 3d-artist who began my journey as a 3d-groom artist in 2016 New works can be viewed here Before that from 2009 - 2016 - I did env...

Ornatrix UE 5: Demo Clump Brush in Unreal Engine 5

  In this video - I show the DemoClump brush in Ornatrix for Unreal Engine 5. This brush can be used to manually create Clumps from selected hair. Sometimes you need this when you just need to manually edit something. Yes, we have the Clumper modifier and we have manual selection of guides there too, but this brush is also - sometimes - useful =) Because you have complete control over how the Clump will behave.  This brush can be used with both Edit Guides and regular hair, which you get after using the Create brush.  ___ The purpose of the series - quickly show something interesting and useful related to this plugin.  I do not spend time on the voiceover, as there are already basic lessons - which also need to do =) But since - I do not upload them very often, need to do something else - to grow the channel. ___ Just a reminder that you can become a channel sponsor and get a 95% discount - on all my assets, voiceovers in another language, etc. It's enough to do it h...

Ornatrix Features #8 - Drawing HairMesh in Maya.

In this episode - I show the ability to draw guides and then convert them into a Mesh - using the Draw Strand Tool in Ornatrix Maya. This feature can be used to quickly create a hair sculpture. ---  CONTENTS: 0:00 - Selecting Draw Strands Tool. 0:07 - Drawing the guides. 0:30 - Convert them into a Mesh with MeshFromStrands. --- The purpose of the series - quickly show something interesting and useful related to this plugin.  I do not spend time on the voiceover, as there are already basic lessons - which also need to do =) But since - I do not upload them very often, need to do something else - to grow the channel. --- CHANNEL SUPPORT: If you want to support this channel, then throw your donations here: ➡️Paypal - ➡️DonationAlert - Also subscribe to the group - - it's run by a fan of mine, since I can't go in myself. There you can chat, ask questions, etc. This is an alternativ...

These molecular data were left in the text by mistake:
Record 1
ORCA calculation (ωB97M-V/def2-TZVPD) on a structure of composition C39H58N9O4PPd.

Last column: Mulliken charge in e.
Positions of all 112 atoms, in Å:
Pd (-0.525, 0.146, -0.581)  -0.7025
C (-4.629, -4.632, 4.253)  -1.0465
O (-4.728, -3.315, 3.756)  -0.4271
C (-5.439, -3.138, 2.599)  1.0940
C (-6.403, -4.013, 2.137)  -0.5099
C (-7.049, -3.761, 0.927)  -0.6856
C (-6.710, -2.639, 0.194)  -0.8940
C (-5.738, -1.759, 0.656)  -0.5275
C (-5.094, -1.988, 1.866)  0.4027
N (-4.099, -1.145, 2.367)  -0.2272
C (-3.198, -0.583, 1.370)  -1.3957
N (-3.568, 0.670, 1.051)  0.4513
C (-3.048, 1.679, 0.168)  0.3850
C (-1.694, 1.789, -0.201)  -0.4075
C (-1.413, 2.986, -0.919)  -0.7667
C (-2.364, 3.919, -1.280)  -0.6930
C (-3.708, 3.743, -0.934)  -0.6034
C (-4.029, 2.614, -0.200)  0.8558
O (-5.331, 2.344, 0.237)  -0.3582
C (-6.295, 3.336, 0.017)  -1.0671
N (-2.214, -1.250, 0.904)  1.2148
C (-1.896, -2.491, 1.438)  0.1444
C (-2.210, -3.669, 0.757)  0.1065
C (-1.884, -4.917, 1.269)  -1.0844
C (-1.217, -5.019, 2.482)  -0.5556
C (-0.877, -3.858, 3.168)  -0.6249
C (-1.206, -2.607, 2.664)  0.2740
O (-0.915, -1.514, 3.428)  -0.6141
C (-0.105, -0.486, 2.793)  -0.5192
H (-3.882, -4.605, 5.044)  0.2904
H (-4.295, -5.317, 3.471)  0.3940
H (-5.581, -4.981, 4.668)  0.3568
H (-6.643, -4.904, 2.701)  0.3167
H (-7.797, -4.454, 0.563)  0.3609
H (-7.188, -2.444, -0.758)  0.4016
H (-5.455, -0.894, 0.068)  0.5525
H (-3.571, -1.606, 3.099)  0.5246
H (-4.407, 0.951, 1.531)  0.4180
H (-0.384, 3.170, -1.211)  0.2754
H (-2.077, 4.804, -1.844)  0.3322
H (-4.455, 4.466, -1.228)  0.3202
H (-7.212, 2.991, 0.495)  0.2451
H (-6.486, 3.487, -1.051)  0.3580
H (-5.996, 4.295, 0.454)  0.4136
H (-2.730, -3.579, -0.189)  0.3429
H (-2.148, -5.809, 0.711)  0.2648
H (-0.949, -5.989, 2.887)  0.3105
H (-0.347, -3.896, 4.113)  0.4501
H (0.601, -0.142, 3.548)  0.2760
H (-0.720, 0.334, 2.432)  0.2336
H (0.441, -0.880, 1.937)  0.0362
N (0.175, -1.155, -2.145)  0.3075
P (0.366, -2.242, -3.150)  -1.4753
N (1.578, -3.472, -2.824)  0.0199
C (2.797, -2.847, -2.260)  -0.5331
C (3.541, -3.783, -1.317)  -1.3929
C (2.694, -4.073, -0.070)  -1.0025
C (1.206, -4.142, -0.453)  0.8187
C (1.072, -4.529, -1.925)  -1.0840
N (-1.002, -3.190, -3.502)  1.4815
C (-2.216, -2.977, -2.748)  -0.4134
C (-3.375, -2.600, -3.666)  -0.8565
C (-3.536, -3.639, -4.776)  -0.8965
C (-2.218, -3.847, -5.523)  -0.4876
C (-1.092, -4.179, -4.543)  -1.0022
N (0.782, -1.833, -4.786)  0.3075
C (2.149, -1.685, -5.237)  -1.2534
C (2.806, -0.362, -4.772)  -0.1572
C (1.726, 0.665, -4.422)  0.0093
C (0.608, 0.585, -5.453)  -1.0639
C (-0.078, -0.796, -5.356)  -0.3197
H (2.522, -1.932, -1.715)  0.4413
H (3.466, -2.556, -3.075)  0.3012
H (4.494, -3.321, -1.040)  0.4796
H (3.788, -4.711, -1.842)  0.4262
H (2.849, -3.285, 0.672)  0.2711
H (3.020, -5.013, 0.387)  0.3446
H (0.733, -3.164, -0.327)  -0.4463
H (0.667, -4.847, 0.187)  0.3943
H (0.028, -4.718, -2.170)  0.2593
H (1.618, -5.462, -2.121)  0.3183
H (-2.017, -2.193, -2.013)  -0.1246

How to export a scene with Ornatrix hair in Vray .vrscene from Maya and render it in 3ds Max?

  In this video I show you how to export the created hairstyle Ornatrix Maya/V-Ray Renderer in .vrscene format and render it without Ornatrix - in 3ds Max or Cinema 4D.   Very often - I was asked for such a possibility, because not always clients in the same Cinema4D or 3ds Max - want to buy Ornatrix, and it is necessary to render in it. In Cinema4D - did not show, because I do not have a V-Ray license for it. But =) The principle is the same. You just select the V-Ray Scene object and load the scene. By the way, this method allows you to render scenes faster and saves GPU memory. And if you render via Batch, as I showed here -   it will be even faster =)  Information about this format -   --- PATREON: If you want to get all the lessons with my voiceover as soon as possible, not wait years for each episode to come out, and also dive into the friendly groomers community on ...

These calculated molecules were left in the entry by mistake:
<<<
No. 1
{
  "formula": "C2HClN2O",
  "method": "the ωB97M-V functional and the def2-TZVPD basis",
  "symbols": ["C", "C", "N", "N", "O", "Cl", "H"],
  "xyz": [[0.0299, 0.9809, 0.9894], [0.1434, 0.6381, -0.3297], [0.1088, 1.2732, 2.0957], [-1.2310, -1.5324, -0.5262], [-0.3524, -2.2722, -0.4640], [1.4313, -0.3895, -0.7458], [-0.1299, 1.3019, -1.0194]],
  "forces_ev_per_a": [[0.3, 0.1, 0.6], [1.2, -2.8, 1.1], [-0.3, 0.2, 1.2], [1.5, -1.2, 0.3], [-2.0, 0.9, -0.2], [0.7, 0.5, -0.1], [-1.3, 2.2, -2.9]],
  "nbo_charge": [0.1734, -0.2999, -0.2610, 0.2476, -0.1560, 0.0809, 0.2149],
  "gap_ev": [8.69, 7.90],
  "molar_mass_g_mol": 104.5,
  "e_above_lowest_ev": 4.299,
  "e_lumo_ha": [-0.0203, -0.0490],
  "largest_force_ev_per_a": 3.855
}

=====

No. 2
{
  "formula": "C2HClN2O2",
  "method": "the ωB97M-V functional and the def2-TZVPD basis",
  "symbols": ["O", "C", "N", "O", "H", "N", "C", "Cl"],
  "xyz": [[-0.1693, 0.1243, -0.6137], [0.9529, 0.2869, -0.4448], [2.0439, -0.2663, -0.7501], [3.1066, -0.0478, -1.2193], [1.3612, 0.6303, 0.6357], [0.5151, 0.1623, 2.6924], [-0.3336, -0.3018, 3.3070], [-1.6653, -0.6877, 4.0051]],
  "forces_ev_per_a": [[-5.7, -0.5, -1.8], [1.5, 3.0, 4.6], [4.0, -3.4, -1.3], [0.6, 0.7, -0.6], [-0.4, 0.2, -1.0], [0.8, -0.1, -0.1], [1.9, 1.3, -1.6], [-2.7, -1.1, 1.7]],
  "nbo_charge": [-0.5248, 0.4248, 0.1278, -0.2250, 0.1887, -0.3292, 0.1303, 0.2075],
  "gap_ev": [8.64, 8.63],
  "molar_mass_g_mol": 120.5,
  "e_above_lowest_ev": 5.456,
  "e_lumo_ha": [-0.0287, -0.0287],
  "largest_force_ev_per_a": 6.004,
  "smiles": "O=CN=O.N#CCl"
}

=====

No. 3
{
  "formula": "C2HClO2",
  "method": "the ωB97M-V functional and the def2-TZVPD basis",
  "symbols": ["O", "C", "C", "O", "Cl", "H"],
  "xyz": [[1.7489, -0.4302, -0.4308], [0.8310, -0.0042, 0.2085], [-0.6332, -0.1917, -0.2898], [-1.1012, -1.1111, -0.9390], [-1.5656, 1.1480, 0.3756], [0.7200, 0.5891, 1.0754]],
  "forces_ev_per_a": [[-0.3, 0.5, 1.1], [-0.8, -1.3, -2.6], [-1.0, -2.9, -1.7], [1.3, 2.8, 1.8], [-0.4, 0.1, -0.2], [1.2, 0.9, 1.6]],
  "nbo_charge": [-0.4150, 0.3460, 0.4165, -0.4407, -0.0500, 0.1431],
  "gap_ev": 9.59,
  "molar_mass_g_mol": 92.5,
  "e_above_lowest_ev": 0.354,
  "e_lumo_ha": -0.0425,
  "largest_force_ev_per_a": 3.563,
  "smiles": "O=CC(=O)Cl"
}

=====

No. 4
{
  "formula": "C2HEuO3",
  "method": "the ωB97M-V functional and the def2-TZVPD basis",
  "symbols": ["O", "H", "O", "O", "C", "C", "Eu"],
  "xyz": [[1.1501, 1.1070, -0.7363], [1.7374, 0.8156, -1.4671], [-0.9335, -0.3137, 0.2213], [-0.1278, -0.7863, 1.2576], [-0.2484, 0.1426, -0.7433], [-0.2661, 1.2363, -1.5015], [-1.3117, -2.2015, 2.9694]],
  "forces_ev_per_a": [[-2.0, -1.3, 0.2], [0.2, -0.1, 0.2], [0.8, -0.2, -0.1], [-0.5, -1.2, 1.4], [0.6, 0.5, 1.0], [0.2, 1.7, -1.9], [0.6, 0.7, -0.7]],
  "nbo_charge": [-0.5472, 0.5511, -0.1188, -0.6178, 0.4520, 0.3401, 1.9406],
  "gap_ev": [8.21, 7.65],
  "molar_mass_g_mol": 225.0,
  "e_above_lowest_ev": 9.409,
  "total_charge": 2,
  "e_lumo_ha": [-0.3635, -0.3863],
>>>

Maya/Ornatrix/Arnold: How to export into USD and render in Cinema4D/3ds Max?

A structure of composition C33H43BIrN8S3Se. Source: the Open Molecules 2025 dataset; level of theory: ωB97M-V/def2-TZVPD.

Geometry as XYZ:
```
90
Properties=species:S:1:pos:R:3:forces:R:3
Ir 0.208 -2.146 2.291 0.03 -0.08 0.07
C 4.598 0.769 1.831 0.00 0.00 0.01
C 3.213 1.050 1.339 0.01 0.01 0.00
C 2.836 2.292 0.875 0.00 0.01 -0.01
C 1.527 2.547 0.416 0.01 0.00 0.00
N 0.627 1.571 0.379 0.04 -0.05 0.03
N 0.984 0.382 0.821 -0.07 0.04 -0.05
B -0.004 -0.808 0.629 -0.02 0.02 -0.08
N 0.394 -1.566 -0.705 0.01 -0.04 0.03
N 0.942 -0.845 -1.627 0.02 0.00 -0.07
C 1.149 -1.380 -2.852 0.00 0.04 0.05
C 0.692 -2.674 -3.135 0.00 -0.03 -0.03
C 0.129 -3.466 -2.157 0.01 0.00 0.01
C -0.315 -4.866 -2.409 -0.01 0.00 -0.01
C 0.028 -2.868 -0.868 -0.01 0.02 -0.04
S -0.515 -3.716 0.497 0.02 0.06 0.00
C 1.875 -0.539 -3.863 -0.01 -0.05 -0.01
C 1.002 -0.413 -5.129 0.00 0.02 0.00
C 3.186 -1.280 -4.215 0.00 0.01 0.01
C 2.193 0.851 -3.315 0.00 0.01 0.00
N -1.454 -0.299 0.428 0.00 -0.03 0.07
N -1.746 0.187 -0.776 0.00 0.02 -0.01
C -2.936 0.724 -0.956 -0.01 -0.03 -0.03
C -3.855 0.809 0.119 0.00 0.02 -0.01
C -3.571 0.277 1.350 0.02 -0.02 0.01
C -4.525 0.291 2.501 -0.01 0.00 0.01
C -2.301 -0.325 1.451 -0.01 -0.01 0.02
S -1.770 -1.198 2.869 -0.01 0.06 -0.03
C -3.303 1.220 -2.339 -0.02 0.01 0.03
C -3.629 2.721 -2.255 0.00 0.00 -0.01
C -4.547 0.443 -2.806 0.00 0.00 -0.01
C -2.158 0.994 -3.323 0.01 0.00 0.00
C 2.190 0.090 1.317 0.01 -0.03 0.04
S 2.365 -1.572 1.850 -0.04 0.02 0.02
C 1.112 3.924 -0.051 0.02 0.00 0.02
C -0.318 3.914 -0.585 -0.01 0.00 0.00
C 2.075 4.378 -1.161 0.01 0.01 -0.02
C 1.217 4.877 1.154 -0.01 0.00 -0.01
H 4.897 1.521 2.562 0.00 0.00 -0.01
H 5.303 0.828 1.000 0.00 0.00 0.00
H 4.694 -0.213 2.290 0.00 0.00 0.00
H 3.560 3.098 0.872 -0.01 -0.01 0.00
H 0.811 -3.069 -4.136 0.00 0.00 0.01
H -0.188 -5.126 -3.458 0.00 0.00 0.01
H -1.367 -4.993 -2.144 0.01 -0.01 0.00
H 0.264 -5.572 -1.810 0.00 0.00 -0.01
H 0.783 -1.378 -5.588 0.01 0.00 0.01
H 1.550 0.174 -5.865 -0.01 0.00 0.00
H 0.063 0.099 -4.916 0.01 -0.01 0.00
H 3.001 -2.261 -4.654 0.00 0.01 0.00
H 3.826 -1.400 -3.339 -0.01 0.00 -0.01
H 3.728 -0.687 -4.951 0.00 0.00 0.00
H 1.286 1.392 -3.039 0.01 -0.01 0.00
H 2.708 1.420 -4.088 0.00 0.00 0.00
H 2.849 0.801 -2.443 0.00 0.00 -0.01
H -4.815 1.282 -0.047 0.00 0.01 0.00
H -5.416 0.863 2.255 0.00 0.00 0.00
H -4.065 0.736 3.386 0.00 0.00 0.00
H -4.836 -0.725 2.758 0.00 0.01 0.00
H -4.464 2.930 -1.584 0.00 -0.01 0.00
H -3.919 3.075 -3.244 0.00 0.00 0.00
H -2.765 3.300 -1.927 -0.01 0.00 0.00
H -5.412 0.616 -2.165 0.01 0.00 0.00
H -4.357 -0.632 -2.850 0.00 0.01 0.00
H -4.818 0.777 -3.808 0.00 0.00 0.00
H -1.252 1.520 -3.014 0.00 -0.01 0.00
H -2.455 1.370 -4.302 0.00 0.00 0.00
H -1.925 -0.069 -3.427 -0.01 0.01 0.00
H -0.422 3.229 -1.429 0.01 0.01 0.01
H -0.572 4.917 -0.927 0.00 -0.01 0.00
H -1.036 3.627 0.185 0.01 0.00 0.00
H 2.065 3.690 -2.009 0.00 0.00 0.01
H 3.102 4.487 -0.810 -0.01 -0.01 0.00
H 1.759 5.357 -1.521 0.00 0.00 0.00
H 0.541 4.581 1.958 0.01 0.01 -0.01

  In this video, I show how to export the created hairstyle Ornatrix Maya/Arnold Renderer 7 in .usd format and render without having Ornatrix - in 3ds Max and Cinema 4D.   Very often - I was asked for such a possibility, because customers in the same Cinema4D or 3ds Max - not always want to buy Ornatrix, and need to render without it. --- PATREON: If you want to get all the lessons with my voiceover as soon as possible, not wait years for each episode to come out, and also dive into the friendly groomers community on Discord + get feedback on work, answers to questions about grooming - then support me on Patreon -  --- OTHER LESSONS: - Ornatrix Cinema 4D →   - Ornatrix Maya →   - Ornatrix 3ds Max →   - Octane →   - Arnold →   - Redshift →   - Fstorm →   - V-R...